pyspark is not running - mac - macos

I am trying to run pyspark on my local machine and somehow I can not. I have downloaded the latest version of the Spark and set the following path in .bash_profile:
export PATH="/Users/user/Downloads/spark-1.3.1-bin-hadoop2.6/bin:$PATH"
When I run this command:
IPYTHON_OPTS="notebook” pyspark
Nothing happens. I have done everything based on instructions and what I see as the output of that command is this symbol followed by nothing:
Can anyone please help me?


How to start the hadoop which i just install ,rather than the former version

I want to installed the hadoop(3.2) in my linux system which has installed the hadoop(2.7).When I execute hadoop , I can only get the information of hadoop 2.7 ,even if I change the environment variable. And the most confused thing is when I run echo $HADOOP_HOME , sometimes I can get the path of hadoop 2.7,sometimes hadoop 3.2. I hope someone can help me.
enter image description here
enter image description here

Unable to Launch Hive prompt in Windows 10

Unrelated to this text: data records
- - -
[1]
This entry pairs a crystal structure of CrFeNi with its calculated powder XRD pattern. Radiation: λ = 1.5418 Å (Cu Kα). Structure: the GGA-PBE geometry in Alexandria.
Neutral-atom scattering factors, no anomalous dispersion.

The 6 most intense peaks (2θ = 10–90°), sorted by position:
d [Å], Position (°2θ), I (rel.)
2.053, 44.1, 100.0
1.862, 48.9, 17.8
1.744, 52.5, 14.4
1.737, 52.7, 14.2
1.273, 74.6, 9.0
1.108, 88.2, 11.3

Crystal structure
```
CrFeNi
1.0
0.0000 1.7437 5.5850
1.7373 0.0000 5.5850
1.7373 1.7437 0.0000
Cr Fe Ni
1 1 1
Cartesian
0.0000 0.0000 0.0000 Cr
1.7373 1.7437 7.5230 Fe
1.7373 1.7437 3.7814 Ni
```



[2]
This entry pairs a crystal structure of CrFe2Ni2 with its calculated powder XRD pattern. Radiation: λ = 1.5418 Å (Cu Kα). Structure: the GGA-PBE geometry in Alexandria.
Neutral-atom scattering factors, no anomalous dispersion.

The 6 most intense peaks (2θ = 10–90°), sorted by position:
d [Å], Position (°2θ), I (rel.)
2.071, 43.7, 100.0
2.056, 44.0, 49.0
2.050, 44.2, 48.5
1.803, 50.6, 31.5
1.784, 51.2, 30.2
1.771, 51.6, 29.5

Crystal structure
```
CrFe2Ni2
1.0
4.3902 0.0000 0.0000
-0.7577 4.3268 0.0000
-1.4501 -2.3639 5.9959
Cr Fe Ni
2 4 4
Cartesian
-0.0421 3.7290 1.5152 Cr
2.2245 -1.7661 4.4807 Cr
-1.4613 0.5969 5.1028 Fe
-0.7040 2.1690 3.3257 Fe
2.8865 -0.2061 2.6702 Fe
3.6438 1.3660 0.8931 Fe
0.0245 -1.3700 5.7076 Ni
0.7146 0.2015 3.8998 Ni
1.4679 1.7614 2.0961 Ni
2.1580 3.3329 0.2883 Ni
```



[3]
This entry pairs a crystal structure of CrFe3Ni6 with its calculated powder XRD pattern. Radiation: λ = 1.5418 Å (Cu Kα). Structure: the GGA-PBE geometry in Alexandria.
Neutral-atom scattering factors, no anomalous dispersion.

The 6 most intense peaks (2θ = 10–90°), sorted by position:
d [Å], Position (°2θ), I (rel.)
2.050, 44.2, 100.0
1.801, 50.7, 16.2
1.774, 51.5, 15.3
1.753, 52.2, 14.8
1.264, 75.2, 9.0
1.256, 75.7, 8.8

Crystal structure
```
CrFe3Ni6
1.0
7.9596 0.0000 0.0000
0.0000 3.5052 0.0000
-0.0969 0.0000 8.0276
Cr Fe Ni
2 6 12
Cartesian
0.7329 0.8763 0.3674 Cr
7.1298 2.6289 7.6601 Cr
0.7525 2.6289 4.4105 Fe
2.3153 0.8763 5.2024 Fe
3.9326 0.8763 1.9989 Fe
3.9301 2.6289 6.0287 Fe
5.5474 2.6289 2.8252 Fe
7.1102 0.8763 3.6170 Fe
7.8857 0.8763 6.0200 Ni
-0.0230 2.6289 2.0076 Ni
1.5492 0.8763 2.7884 Ni
1.5174 2.6289 6.8240 Ni
2.3617 2.6289 1.1934 Ni
3.0816 0.8763 7.6183 Ni
3.1353 2.6289 3.5976 Ni
4.7274 0.8763 4.4300 Ni
4.7811 2.6289 0.4093 Ni
5.5010 0.8763 6.8341 Ni
6.3453 0.8763 1.2035 Ni
6.3135 2.6289 5.2391 Ni
```



[4]
This entry pairs a crystal structure of Cr4FeNiS8 with its calculated powder XRD pattern. Radiation: λ = 1.5418 Å (Cu Kα). Structure: the GGA-PBE geometry in Alexandria.
Neutral-atom scattering factors, no anomalous dispersion.

The 6 most intense peaks (2θ = 10–90°), sorted by position:
d [Å], Position (°2θ), I (rel.)
3.472, 25.7, 33.7
2.961, 30.2, 100.0
2.455, 36.6, 48.8
1.890, 48.2, 42.3
1.736, 52.7, 88.9
1.278, 74.2, 16.4

Crystal structure
```
Cr4FeNiS8
1.0
0.0000 4.9099 4.9099
- - -
End of the data records

I have downloaded Hadoop 3.1.0 and Hive is 2.1.0 in my Windows 10. I have Hadoop running properly using start-all.cmd command from terminal. When I try to run 'hive' from command prompt it gives following messages and errors which are in the attached screenshot. I am using Derby with hive. Following this tutorial from Youtube.
Have also tried reinstalling Hive but still not working. I have already spent a lot of my time dealing with this problem but got no success.
Any sort of help will be appreciated. Thank You.

Simple and quick oozie installation steps on unix

I am trying to install ozzie on my Unix machine, however i am getting error while executing the distro file.
I have tried making changes into pom.xml of oozie, but that also did not worked.
I hvae followed below links :
Any help or installation guide will be great help.

Apache Spark with Hadoop distribution failing to run on Windows

I tried running spark-1.5.1-bin-hadoop2.6 distribution (and newer versions of Spark with same results) on Windows using Cygwin.
When trying to execute spark-shell script in the bin folder, I get below output:
Error: Could not find or load main class org.apache.spark.launcher.Main
I tried to set CLASSPATH to the location of lib/spark-assembly-1.5.1-hadoop2.6.0.jar but to no avail.
(FYI: I am able to run the same distribution fine on my MAC with no extra setup steps required)
Please assist in finding resolution for Cygwin execution on Windows.
I ran into and solved a similar problem with cywin on Windows 10 and spark-1.6.0.
build with Maven (maybe you're past this step)
mvn -DskipTests package
make sure JAVA_HOME is set to a JDK
$ export JAVA_HOME="C:\Program Files\Java\jdk1.8.0_60"
$ ls "$JAVA_HOME"
use the Windows batch file. Launch from PowerShell or CommandPrompt if you have terminal problems with cygwin.
$ chmod a+x bin/spark-shell.cmd
$ ./bin/spark-shell.cmd
My solution to the problem was to move the Spark installation into a path that didn't have spaces in it. Under Program Files I got the above error, but moving it directly under C:\ and running spark-shell.bat file cleared it up.

Issues with manual installation of predictionIO dependencies

I am installing predictionIO from source code. I have downloaded and done the predictionIO installation successfully. I am now trying to install the dependencies (Spark, Elasticsearch, HBase) but I am running into errors for each of them. Below are the issues I am facing when I execute pio status:
1 - Unable to locate a proper Apache Spark installation
2 - It is also unable to find metadata files.
I have not changed any default settings. I'm using windows 8.1. On localhost, I have running IIS. On I run ipython notebook.
Please help on how I can get predictionIO up and running on my machine.
If you are on Windows, you can install with Vagrant.
I believe the discussion has moved to the google group.!searchin/predictionio-user/SAS/predictionio-user/ZamBr1ZaQ3o/fyNkXh3zsv0J!searchin/predictionio-user/SAS/predictionio-user/0awaASUR8lE/JkLtPeRrNt4J
This is the relevant thread.!searchin/predictionio-user/SAS/predictionio-user/0awaASUR8lE/JkLtPeRrNt4J
Moreover, PredictionIO docs had a few errors. Below are some of them and their corrected versions.
1 - Actual line: PATH=$PATH:/home/yourname/predictionio/bin; export PATH
Corrected Version PATH=$PATH:/home/yourname/PredictionIO/bin; export PATH
2 - Actual Line: $ pio eventserver
Corrected Version: $ pio eventserver --ip
3 - Actual Line pio template get PredictionIO/templates-scala-parallel-recommendation MyRecommendation
Corrected Version pio template get PredictionIO/template-scala-parallel-recommendation MyRecommendation
